## File
........
No. 1
Density functional theory data (the ωB97M-V functional and the def2-TZVPD basis) for a cluster of 10 separate species, C33H66O13S3 in total in a non-equilibrium geometry.

Last column: Löwdin charge in e.
Positions of all 115 atoms, in Å:
C -1.8315 -0.2734 -5.9300  -0.0336
C -3.2359 0.1156 -6.4759  -0.3922
O -3.7424 -0.4007 -7.4922  0.0172
C -4.1200 1.1437 -5.5668  -0.0077
H -1.3563 -1.0100 -6.5779  0.0722
H -1.8187 -0.6259 -4.8987  0.0701
H -1.1859 0.5984 -6.0357  0.0748
H -5.1652 0.9766 -5.8271  0.0682
H -3.7635 2.1424 -5.8189  0.0709
H -3.9185 0.8474 -4.5374  0.0605
C 2.4007 -8.8392 -3.2775  -0.0404
C 0.9448 -8.3435 -3.5102  -0.4353
O 0.0881 -9.1994 -3.7902  0.0360
C 0.7595 -6.8654 -3.2460  -0.0261
H 2.5043 -9.9231 -3.3284  0.0719
H 2.8767 -8.4687 -2.3696  0.0753
H 3.0269 -8.6389 -4.1469  0.0766
H 0.1420 -6.3099 -3.9519  0.0857
H 1.7320 -6.3750 -3.2047  0.0716
H 0.4324 -6.7161 -2.2170  0.0846
C -0.7007 -6.1101 2.6236  -0.0331
C -1.2276 -7.5299 2.8362  -0.4505
O -1.7318 -7.7260 3.9584  0.0175
C -0.6878 -8.6344 1.9433  -0.0187
H -0.9261 -5.8047 1.6018  0.0732
H 0.3409 -6.1575 2.9412  0.0908
H -1.1253 -5.3414 3.2693  0.0753
H 0.2912 -8.8881 2.3497  0.0924
H -0.5230 -8.1949 0.9595  0.0686
H -1.3405 -9.5067 1.9092  0.0854
C 1.6932 0.4976 -1.2302  -0.0232
C 0.7462 -0.6138 -0.7206  -0.4720
O 1.0303 -1.7653 -0.8030  0.0722
C -0.7054 -0.2067 -0.3221  -0.0181
H 2.7527 0.2928 -1.0763  0.0774
H 1.4270 1.3820 -0.6514  0.0631
H 1.4707 0.9570 -2.1933  0.0798
H -1.0558 -0.7988 0.5234  0.0799
H -1.3615 -0.3611 -1.1786  0.0741
H -0.8859 0.8664 -0.2598  0.0674
C -5.5956 -3.8709 3.8359  -0.0155
C -6.8468 -3.7590 4.7198  -0.4884
O -7.2760 -2.6960 5.0881  0.0538
C -7.6589 -5.0634 5.0038  -0.0240
H -5.9641 -4.5001 3.0258  0.0851
H -4.8985 -4.3318 4.5357  0.0830
H -5.2358 -2.8503 3.7051  0.0804
H -6.9557 -5.7556 5.4669  0.0774
H -8.1529 -5.4010 4.0928  0.0751
H -8.5605 -4.9192 5.5991  0.0733
C -7.5759 0.9729 0.7785  -0.0211
C -6.4256 1.9323 0.7067  -0.5476
O -6.2301 2.4927 -0.3367  0.0669
C -5.6562 2.2682 1.9036  -0.0212
H -8.1335 1.0398 1.7127  0.0818
H -7.2177 -0.0536 0.8562  0.0839
H -8.1512 1.0596 -0.1432  0.0887
H -5.1718 3.2098 2.1620  0.0948
H -4.8962 1.4949 1.7918  0.0961
H -6.2515 1.9528 2.7605  0.0781
C 4.3864 3.5650 -6.2234  -0.0245
C 4.4178 5.0871 -6.0660  -0.4840
O 4.4239 5.8526 -7.0491  0.0397
C 4.4046 5.5779 -4.6779  -0.0402
H 3.7484 3.0298 -5.5202  0.0794
H 5.4212 3.2543 -6.0800  0.0833
H 4.1876 3.3854 -7.2800  0.0813
H 3.4185 5.3652 -4.2651  0.0925
H 4.6127 6.6431 -4.5772  0.0862
H 5.1836 5.0789 -4.1015  0.0864
C -3.0531 8.5779 -1.0406  -0.2320
C -1.8422 9.0465 -1.8763  -0.1832
C -0.9069 7.7905 -1.6747  -0.2186
S -1.9740 6.3320 -2.0804  0.6877
O -1.6608 5.3481 -1.0769  -0.3435
O -2.0623 6.1175 -3.5075  -0.3396
C -3.5514 7.2466 -1.6057  -0.1962
H -3.8658 9.3028 -0.9949  0.1117
H -2.6335 8.4723 -0.0402  0.1122
H -1.2813 9.9075 -1.5127  0.1099
H -2.0754 9.1935 -2.9309  0.1114
H -0.5902 7.6127 -0.6470  0.0930
H 0.0318 7.6770 -2.2170  0.0942
H -4.1704 6.5184 -1.0816  0.0975
H -4.1240 7.4232 -2.5162  0.0942
C 7.5930 -4.8927 0.1621  -0.2233
C 8.2650 -4.9458 1.5280  -0.2126
C 7.1575 -5.4317 2.5762  -0.2028
S 5.5429 -4.7513 2.0532  0.7233
O 5.0834 -3.6760 2.9564  -0.3560
O 4.7057 -5.9526 1.8916  -0.3596
C 6.2063 -4.1255 0.3855  -0.1689
H 7.4839 -5.8982 -0.2442  0.1084
H 8.3702 -4.4448 -0.4572  0.1071
H 8.5561 -3.9253 1.7772  0.1091
H 9.1499 -5.5813 1.4936  0.1104
H 7.3334 -4.9739 3.5497  0.0914
H 6.9832 -6.5077 2.5701  0.0940
H 6.3950 -3.0648 0.2199  0.0946
H 5.4694 -4.4142 -0.3640  0.0837
C 2.6793 5.6004 6.5613  -0.2027
C 3.3696 4.7470 5.4602  -0.1960
C 2.3851 4.7749 4.2231  -0.1815
S 1.6231 6.5232 4.1800  0.7082
O 0.1767 6.4151 4.0482  -0.3522
O 2.4099 7.4492 3.3505  -0.3594
C 1.9651 6.8792 5.9372  -0.2057
H 3.5157 5.9029 7.1914  0.1024
H 1.9321 5.0101 7.0917  0.1080
H 3.5306 3.7320 5.8232  0.1084
H 4.3163 5.2331 5.2248  0.1099
H 1.4811 4.1665 4.1974  0.0872
H 2.8922 4.5339 3.2888  0.0882
H 0.9666 7.0632 6.3336  0.0888
........
## Brief
It remains to duplicate the lines further up up to the one that holds "-7.2800", that line included.
## Outcome
No. 1
Density functional theory data (the ωB97M-V functional and the def2-TZVPD basis) for a cluster of 10 separate species, C33H66O13S3 in total in a non-equilibrium geometry.

Last column: Löwdin charge in e.
Positions of all 115 atoms, in Å:
C -1.8315 -0.2734 -5.9300  -0.0336
C -3.2359 0.1156 -6.4759  -0.3922
O -3.7424 -0.4007 -7.4922  0.0172
C -4.1200 1.1437 -5.5668  -0.0077
H -1.3563 -1.0100 -6.5779  0.0722
H -1.8187 -0.6259 -4.8987  0.0701
H -1.1859 0.5984 -6.0357  0.0748
H -5.1652 0.9766 -5.8271  0.0682
H -3.7635 2.1424 -5.8189  0.0709
H -3.9185 0.8474 -4.5374  0.0605
C 2.4007 -8.8392 -3.2775  -0.0404
C 0.9448 -8.3435 -3.5102  -0.4353
O 0.0881 -9.1994 -3.7902  0.0360
C 0.7595 -6.8654 -3.2460  -0.0261
H 2.5043 -9.9231 -3.3284  0.0719
H 2.8767 -8.4687 -2.3696  0.0753
H 3.0269 -8.6389 -4.1469  0.0766
H 0.1420 -6.3099 -3.9519  0.0857
H 1.7320 -6.3750 -3.2047  0.0716
H 0.4324 -6.7161 -2.2170  0.0846
C -0.7007 -6.1101 2.6236  -0.0331
C -1.2276 -7.5299 2.8362  -0.4505
O -1.7318 -7.7260 3.9584  0.0175
C -0.6878 -8.6344 1.9433  -0.0187
H -0.9261 -5.8047 1.6018  0.0732
H 0.3409 -6.1575 2.9412  0.0908
H -1.1253 -5.3414 3.2693  0.0753
H 0.2912 -8.8881 2.3497  0.0924
H -0.5230 -8.1949 0.9595  0.0686
H -1.3405 -9.5067 1.9092  0.0854
C 1.6932 0.4976 -1.2302  -0.0232
C 0.7462 -0.6138 -0.7206  -0.4720
O 1.0303 -1.7653 -0.8030  0.0722
C -0.7054 -0.2067 -0.3221  -0.0181
H 2.7527 0.2928 -1.0763  0.0774
H 1.4270 1.3820 -0.6514  0.0631
H 1.4707 0.9570 -2.1933  0.0798
H -1.0558 -0.7988 0.5234  0.0799
H -1.3615 -0.3611 -1.1786  0.0741
H -0.8859 0.8664 -0.2598  0.0674
C -5.5956 -3.8709 3.8359  -0.0155
C -6.8468 -3.7590 4.7198  -0.4884
O -7.2760 -2.6960 5.0881  0.0538
C -7.6589 -5.0634 5.0038  -0.0240
H -5.9641 -4.5001 3.0258  0.0851
H -4.8985 -4.3318 4.5357  0.0830
H -5.2358 -2.8503 3.7051  0.0804
H -6.9557 -5.7556 5.4669  0.0774
H -8.1529 -5.4010 4.0928  0.0751
H -8.5605 -4.9192 5.5991  0.0733
C -7.5759 0.9729 0.7785  -0.0211
C -6.4256 1.9323 0.7067  -0.5476
O -6.2301 2.4927 -0.3367  0.0669
C -5.6562 2.2682 1.9036  -0.0212
H -8.1335 1.0398 1.7127  0.0818
H -7.2177 -0.0536 0.8562  0.0839
H -8.1512 1.0596 -0.1432  0.0887
H -5.1718 3.2098 2.1620  0.0948
H -4.8962 1.4949 1.7918  0.0961
H -6.2515 1.9528 2.7605  0.0781
C 4.3864 3.5650 -6.2234  -0.0245
C 4.4178 5.0871 -6.0660  -0.4840
O 4.4239 5.8526 -7.0491  0.0397
C 4.4046 5.5779 -4.6779  -0.0402
H 3.7484 3.0298 -5.5202  0.0794
H 5.4212 3.2543 -6.0800  0.0833
H 4.1876 3.3854 -7.2800  0.0813